-- Work order --
Find "0.465 1.395" and "3.605 -0.138" in the rows further below, and retype these two lines and those between.

-- File --
Arrangement a

The following is a quantum chemistry calculation of C6H9NO in the gas phase, from OMol25.

XYZ file:
```
17
Properties=species:S:1:pos:R:3
C 1.569 0.156 -1.482
C -0.131 1.721 0.707
C 0.307 -0.286 -0.830
C -0.196 0.247 0.392
C 0.072 -0.833 1.453
O -0.315 -1.261 -1.476
N -2.402 -1.169 0.803
C -1.205 -0.803 1.051
H -1.196 -1.412 -1.053
H -2.667 -1.953 1.402
H 0.877 -1.530 1.613
H 1.335 0.926 -2.225
H 2.258 0.584 -0.755
H 2.046 -0.676 -2.003
H -0.505 1.884 1.719
H 0.896 2.098 0.670
H -0.741 2.307 0.014
```

The molar mass comes out at 111.144 g/mol. As for the net charge: 0. As for the HOMO energy: -0.273 hartree. As for the HOMO-LUMO gap: 7.48 eV. The value obtained for the LUMO energy is 0.042 eV.

---

Arrangement b

The following is a quantum chemistry calculation of C6H9NO in the gas phase, from OMol25.

XYZ file:
```
17
Properties=species:S:1:pos:R:3
C -2.364 -0.875 -0.321
C -1.064 -0.676 -0.599
C -0.042 0.207 0.013
C -0.374 1.355 1.047
N 0.917 0.476 -1.131
C 2.122 -0.271 -0.437
C 1.075 -0.805 0.508
O 1.014 -1.821 1.052
H -2.855 -0.165 0.499
H -3.096 -1.580 -0.688
H -0.508 -1.332 -1.411
H -1.269 0.987 1.554
H -0.525 2.315 0.598
H 0.465 1.395 1.795
H 1.094 1.472 -1.100
H 2.942 0.412 -0.275
H 2.468 -1.091 -1.102
```

The molar mass comes out at 111.144 g/mol. As for the net charge: 0. As for the HOMO energy: -0.340 hartree. The SMILES is C=C[C@]1(C)NCC1=O. As for the HOMO-LUMO gap: 10.11 eV. The value obtained for the LUMO energy is 0.861 eV.

---

Arrangement c

The following is a quantum chemistry calculation of a 2-piece molecular cluster, C6H9NO overall, from OMol25.

XYZ file:
```
17
Properties=species:S:1:pos:R:3
C -2.411 -0.078 -0.315
C -1.737 -1.281 -0.024
C -0.425 -1.276 0.419
N 0.233 -0.105 0.668
C -0.423 1.021 0.343
C -1.718 1.166 -0.184
H -3.441 0.011 -0.663
H -2.229 -2.199 -0.010
H 0.055 -2.173 0.648
H 0.066 1.993 0.399
H -2.125 2.152 -0.324
C 2.673 0.297 -0.005
O 1.802 -0.723 -0.629
H 3.605 -0.138 -0.478
H 2.493 1.393 -0.078
H 2.749 0.079 0.985
H 0.835 -0.140 -0.750
```

The molar mass comes out at 111.144 g/mol. As for the net charge: 0. As for the HOMO energy: -0.314 hartree. The SMILES is c1ccncc1.CO. As for the HOMO-LUMO gap: 9.09 eV. The value obtained for the LUMO energy is 0.562 eV.

---

Arrangement d

The following is a quantum chemistry calculation of C6H9NO in the gas phase, from OMol25.

XYZ file:
```
17
Properties=species:S:1:pos:R:3
O -1.453 1.050 -0.674
C -1.075 0.322 0.436
C 0.226 1.048 0.924
C 1.360 0.721 -0.174
C 2.122 -0.553 -0.097
N 0.778 -0.532 -0.814
C -0.179 -0.880 0.182
C -1.661 -1.203 0.197
H -2.600 0.856 -0.747
H 0.835 0.397 1.687
H 0.308 2.206 1.048
H 1.762 1.367 -0.833
H 2.984 -0.598 -0.775
H 2.193 -0.993 0.972
H 0.183 -1.325 1.220
H -2.174 -1.155 -0.927
H -2.075 -2.166 0.630
```

The molar mass comes out at 111.144 g/mol. As for the net charge: 0. As for the HOMO energy: -0.298 hartree. The SMILES is O[C@]12C[C@H]3CN3[C@@H]1C2. As for the HOMO-LUMO gap: 8.93 eV. The value obtained for the LUMO energy is 0.820 eV.

---

Most stable to least stable, the ends of the list are arrangement b and arrangement d.

---

Arrangement a

The following is a quantum chemistry calculation of C7H10 as an isolated structure, from OMol25.

XYZ file:
```
17
Properties=species:S:1:pos:R:3
C -0.701 -0.019 -0.389
C -1.273 1.385 -0.386
C -0.457 -0.619 -1.760
C 1.731 0.022 0.994
C 2.877 0.418 1.103
H 0.758 0.157 0.221
H -0.622 2.055 -0.951
H -2.258 1.404 -0.862
H -1.396 -0.717 -2.313
H 0.002 -1.604 -1.687
H 0.200 0.033 -2.340
H -1.377 1.770 0.628
H 3.881 0.752 1.204
C -0.938 -0.845 0.674
C -0.497 -1.383 1.718
H -0.769 -2.039 2.521
H 0.837 -0.769 1.627
```

The molar mass comes out at 94.157 g/mol. As for the net charge: 0. As for the HOMO energy: -0.309 hartree. As for the HOMO-LUMO gap: 9.32 eV. The value obtained for the LUMO energy is 0.906 eV.

---

Arrangement b

The following is a quantum chemistry calculation of C7H10 in the gas phase, from OMol25.

XYZ file:
```
17

-- Completed --
H 0.465 1.395 1.795
H 1.094 1.472 -1.100
H 2.942 0.412 -0.275
H 2.468 -1.091 -1.102
```

The molar mass comes out at 111.144 g/mol. As for the net charge: 0. As for the HOMO energy: -0.340 hartree. The SMILES is C=C[C@]1(C)NCC1=O. As for the HOMO-LUMO gap: 10.11 eV. The value obtained for the LUMO energy is 0.861 eV.

---

Arrangement c

The following is a quantum chemistry calculation of a 2-piece molecular cluster, C6H9NO overall, from OMol25.

XYZ file:
```
17
Properties=species:S:1:pos:R:3
C -2.411 -0.078 -0.315
C -1.737 -1.281 -0.024
C -0.425 -1.276 0.419
N 0.233 -0.105 0.668
C -0.423 1.021 0.343
C -1.718 1.166 -0.184
H -3.441 0.011 -0.663
H -2.229 -2.199 -0.010
H 0.055 -2.173 0.648
H 0.066 1.993 0.399
H -2.125 2.152 -0.324
C 2.673 0.297 -0.005
O 1.802 -0.723 -0.629
H 3.605 -0.138 -0.478